A relaxed structure of KHfPtO4, computed with PBE.

abc: 6.898 6.898 6.898
angles: 124.12 123.57 83.46
Positions (direct):
K (0.357, 0.107, 0.250)
K (0.643, 0.893, 0.750)
Hf (0.000, 0.000, 0.500)
Hf (0.000, 0.500, 0.000)
Pt (0.000, 0.500, 0.500)
Pt (0.500, 0.500, 0.000)
O (0.198, 0.247, 0.951)
O (0.204, 0.753, 0.451)
O (0.208, 0.265, 0.557)
O (0.208, 0.652, 0.943)
O (0.792, 0.348, 0.057)
O (0.792, 0.735, 0.443)
O (0.796, 0.247, 0.549)
O (0.802, 0.753, 0.049)

Results
The value obtained for the total magnetization is 0.150 μB per atom. The total energy comes out at -7.10 eV per atom. The space group is No. 74.

=====

A relaxed structure of K2Pu3HfO12, computed with PBE.

abc: 7.647 7.647 7.647
angles: 62.04 62.04 62.04
Positions (direct):
K (0.163, 0.163, 0.163)
K (0.837, 0.837, 0.837)
Pu (0.000, 0.500, 0.500)
Pu (0.500, 0.000, 0.500)
Pu (0.500, 0.500, 0.000)
Hf (0.500, 0.500, 0.500)
O (0.184, 0.184, 0.553)
O (0.184, 0.553, 0.184)
O (0.184, 0.565, 0.565)
O (0.435, 0.435, 0.816)
O (0.435, 0.816, 0.435)
O (0.447, 0.816, 0.816)
O (0.553, 0.184, 0.184)
O (0.565, 0.184, 0.565)
O (0.565, 0.565, 0.184)
O (0.816, 0.435, 0.435)
O (0.816, 0.447, 0.816)
O (0.816, 0.816, 0.447)

Results
The value obtained for the density of states at the Fermi level is 0.607 states/eV per atom. The value obtained for the total magnetization is 0.333 μB per atom. The total energy comes out at -8.95 eV per atom. The space group is No. 166.

=====

Q: Among the records above, which one has the lowest total magnetization?
A: KHfPtO4

=====

Q: What is the formula in the second record?
A: K2Pu3HfO12

=====

Q: Which of these has the lowest total magnetization?
A: KHfPtO4

=====

Entry 1:
# TaBeH, optimized geometry, DFT GGA-PBE
# **Crystal system**: monoclinic
# **Relative energy among the computed polymorphs**: 103 meV per atom
data_TaBeH
_chemical_formula_sum 'Ta2 Be2 H2'
_symmetry_space_group_name_H-M 'P 1'
_symmetry_Int_Tables_number 1
_cell_length_a 9.9175
_cell_length_b 4.9678
_cell_length_c 4.9678
_cell_angle_alpha 138.51
_cell_angle_beta 151.34
_cell_angle_gamma 28.66
loop_
_symmetry_equiv_pos_as_xyz
'x,y,z'
loop_
_atom_site_label
_atom_site_fract_x
_atom_site_fract_y
_atom_site_fract_z
_atom_site_occupancy
Be1 0.8890 0.9036 0.0964 1
Be2 0.3956 0.2631 0.7369 1
H1 0.3881 0.5750 0.4250 1
H2 0.9603 0.6687 0.3313 1
Ta1 0.8843 0.1882 0.8118 1
Ta2 0.3908 0.9743 0.0257 1


Entry 2:
# TaBeH, optimized geometry, DFT GGA-PBE
# **Crystal system**: hexagonal
# **Relative energy among the computed polymorphs**: 1114 meV per atom
data_TaBeH
_chemical_formula_sum 'Ta2 Be2 H2'
_symmetry_space_group_name_H-M 'P 1'
_symmetry_Int_Tables_number 1
_cell_length_a 3.9784
_cell_length_b 3.9784
_cell_length_c 4.7499
_cell_angle_alpha 90.00
_cell_angle_beta 90.00
_cell_angle_gamma 120.00
loop_
_symmetry_equiv_pos_as_xyz
'x,y,z'
loop_
_atom_site_label
_atom_site_fract_x
_atom_site_fract_y
_atom_site_fract_z
_atom_site_occupancy
Be1 0.3333 0.6667 0.2500 1
Be2 0.6667 0.3333 0.7500 1
H1 0.0000 0.0000 0.0000 1
H2 0.0000 0.0000 0.5000 1
Ta1 0.3333 0.6667 0.7500 1
Ta2 0.6667 0.3333 0.2500 1


Entry 3:
# TaBeH, optimized geometry, DFT GGA-PBE
# **Crystal system**: orthorhombic
# **Relative energy among the computed polymorphs**: 42 meV per atom
data_TaBeH
_chemical_formula_sum 'Ta2 Be2 H2'
_symmetry_space_group_name_H-M 'P 1'
_symmetry_Int_Tables_number 1
_cell_length_a 3.4903
_cell_length_b 4.9685
_cell_length_c 4.9685
_cell_angle_alpha 139.82
_cell_angle_beta 90.00
_cell_angle_gamma 90.00
loop_
_symmetry_equiv_pos_as_xyz
'x,y,z'
loop_
_atom_site_label
_atom_site_fract_x
_atom_site_fract_y
_atom_site_fract_z
_atom_site_occupancy
Be1 0.5000 0.9974 0.0026 1
Be2 0.0000 0.8674 0.1326 1
H1 0.5000 0.6731 0.3269 1
H2 0.0000 0.3733 0.6267 1
Ta1 0.0000 0.5814 0.4186 1
Ta2 0.5000 0.2804 0.7196 1


Entry 4:
# TaBeH2, optimized geometry, DFT GGA-PBE
# **Crystal system**: orthorhombic
# **Relative energy among the computed polymorphs**: 0 meV per atom
data_TaBeH2

What is needed: work out how many lines further up have the word "value" in them; a number is enough.

2